**Input:**
- - -
1.
PBE NbVFe2, optimized geometry; energy relative to the lowest polymorph listed for this composition = 0.7589 eV per atom; energy of formation from the pure elements = 15.2 kcal/mol of atoms; space-group type = Pmma, No. 51; calculated total energy = -133.91 eV/cell
1.0
5.4730 0.0000 0.0000
0.0000 4.8666 0.0000
0.0000 0.0000 9.1300
Fe Nb V
8 4 4
direct
0.6894 0.2500 0.0765 Fe
0.5000 0.5000 0.5000 Fe
0.6894 0.7500 0.9235 Fe
0.5000 0.0000 0.5000 Fe
0.0000 0.0000 0.0000 Fe
0.3106 0.7500 0.9235 Fe
0.3106 0.2500 0.0765 Fe
0.0000 0.5000 0.0000 Fe
0.5000 0.7500 0.2074 Nb
0.5000 0.2500 0.7926 Nb
0.0000 0.2500 0.5817 Nb
0.0000 0.7500 0.4183 Nb
0.0000 0.2500 0.2627 V
0.5000 0.2500 0.3087 V
0.5000 0.7500 0.6913 V
0.0000 0.7500 0.7373 V

2.
PBE Ba2HgP, optimized geometry; energy relative to the lowest polymorph listed for this composition = 0.1919 eV per atom; energy of formation from the pure elements = -13.2 kcal/mol of atoms; space-group type = Imm2, No. 44; calculated total energy = -11.84 eV/cell
1.0
-3.1455 2.4776 6.1276
-0.6433 -3.5947 6.3439
4.7094 1.9415 -5.2567
Ba Hg P
2 1 1
direct
0.2570 0.7570 0.5000 Ba
0.0014 0.0014 0.0000 Ba
0.5471 0.5471 0.0000 Hg
0.6945 0.1945 0.5000 P

3.
PBE BePd2SO, optimized geometry; E_form (uncorrected) = 0.3188 eV/atom; space-group type = P4/mmm, No. 123; calculated total energy = -21.60 eV/cell
1.0
-4.4260 -0.4289 1.1762
0.9369 -1.2141 3.0828
0.0307 4.2828 1.6773
S Be O Pd
1 1 1 2
direct
0.0000 0.0000 0.0000 S
0.5000 0.5000 0.5000 Be
0.0000 0.5000 0.0000 O
0.5000 0.0000 0.0000 Pd
0.0000 0.0000 0.5000 Pd

4.
PBE Sr2Li3Al12Pd, optimized geometry; energy of formation from the pure elements = -1.1 kcal/mol of atoms; space-group type = R-3m, No. 166; calculated total energy = -60.09 eV/cell
1.0
-8.7551 5.4169 -2.5805
-10.3518 1.0355 2.1027
-7.3424 6.6842 3.7502
Al Sr Li Pd
12 2 3 1
direct
0.6402 0.0780 0.0780 Al
0.9220 0.3598 0.9220 Al
0.5867 0.1855 0.5867 Al
0.0780 0.0780 0.6402 Al
0.9220 0.9220 0.3598 Al
0.3598 0.9220 0.9220 Al
0.0780 0.6402 0.0780 Al
0.1855 0.5867 0.5867 Al
0.5867 0.5867 0.1855 Al
0.4133 0.4133 0.8145 Al
0.4133 0.8145 0.4133 Al
0.8145 0.4133 0.4133 Al
0.3554 0.3554 0.3554 Sr
0.6446 0.6446 0.6446 Sr
0.0000 0.5000 0.0000 Li
0.5000 0.0000 0.0000 Li
0.0000 0.0000 0.5000 Li
0.0000 0.0000 0.0000 Pd

5.
PBE CaDySe2, optimized geometry; E_form (uncorrected) = -1.8727 eV/atom; energy relative to the lowest polymorph listed for this composition = 0.0000 eV per atom; space-group type = R-3m, No. 166; calculated total energy = -21.06 eV/cell
1.0
-2.8001 1.4086 -2.6474
-3.3247 -2.2459 -0.8577
-5.3994 2.7250 3.9815
Ca Se Dy
1 2 1
direct
0.5000 0.5000 0.5000 Ca
0.7485 0.7485 0.7544 Se
0.2515 0.2515 0.2456 Se
0.0000 0.0000 0.0000 Dy

6.
PBE HfGe2Pt, optimized geometry; energy of formation from the pure elements = -5.1 kcal/mol of atoms; space-group type = Fm-3m, No. 225; calculated total energy = -26.12 eV/cell
1.0
0.8470 0.6084 4.4992
-2.9639 2.4013 2.6037
-2.5877 -2.1692 3.1510
Ge Hf Pt
2 1 1
direct
0.7500 0.7500 0.7500 Ge
0.2500 0.2500 0.2500 Ge
0.0000 0.0000 0.0000 Hf
0.5000 0.5000 0.5000 Pt

7.
PBE ScMn2SnIr, optimized geometry; energy of formation from the pure elements = 33.9 kcal/mol of atoms; space-group type = P4/mmm, No. 123; calculated total energy = -30.19 eV/cell
1.0
4.3606 0.0000 0.0000
0.0000 5.1996 0.0000
0.0000 0.0000 4.3606
Mn Sc Ir Sn
2 1 1 1
direct
0.5000 0.0000 0.0000 Mn
0.0000 0.0000 0.5000 Mn
0.0000 0.0000 0.0000 Sc
0.5000 0.5000 0.5000 Ir
0.0000 0.5000 0.0000 Sn

8.
PBE ZnOs2Rh, optimized geometry; energy of formation from the pure elements = 4.7 kcal/mol of atoms; space-group type = I-4m2, No. 119; calculated total energy = -30.26 eV/cell
1.0
-1.8717 2.9665 3.0905
-4.1701 1.3756 -1.6038
1.8335 -4.2653 0.5477
Os Rh Zn
2 1 1
direct
0.0000 0.0000 0.0000 Os
0.2500 0.7500 0.5000 Os
0.5000 0.5000 0.0000 Rh
0.7500 0.2500 0.5000 Zn

9.
- - -
**Exercise:**
Please reproduce the whole of the notes earlier on without additions.
**Response:**
1.
PBE NbVFe2, optimized geometry; energy relative to the lowest polymorph listed for this composition = 0.7589 eV per atom; energy of formation from the pure elements = 15.2 kcal/mol of atoms; space-group type = Pmma, No. 51; calculated total energy = -133.91 eV/cell
1.0
5.4730 0.0000 0.0000
0.0000 4.8666 0.0000
0.0000 0.0000 9.1300
Fe Nb V
8 4 4
direct
0.6894 0.2500 0.0765 Fe
0.5000 0.5000 0.5000 Fe
0.6894 0.7500 0.9235 Fe
0.5000 0.0000 0.5000 Fe
0.0000 0.0000 0.0000 Fe
0.3106 0.7500 0.9235 Fe
0.3106 0.2500 0.0765 Fe
0.0000 0.5000 0.0000 Fe
0.5000 0.7500 0.2074 Nb
0.5000 0.2500 0.7926 Nb
0.0000 0.2500 0.5817 Nb
0.0000 0.7500 0.4183 Nb
0.0000 0.2500 0.2627 V
0.5000 0.2500 0.3087 V
0.5000 0.7500 0.6913 V
0.0000 0.7500 0.7373 V

2.
PBE Ba2HgP, optimized geometry; energy relative to the lowest polymorph listed for this composition = 0.1919 eV per atom; energy of formation from the pure elements = -13.2 kcal/mol of atoms; space-group type = Imm2, No. 44; calculated total energy = -11.84 eV/cell
1.0
-3.1455 2.4776 6.1276
-0.6433 -3.5947 6.3439
4.7094 1.9415 -5.2567
Ba Hg P
2 1 1
direct
0.2570 0.7570 0.5000 Ba
0.0014 0.0014 0.0000 Ba
0.5471 0.5471 0.0000 Hg
0.6945 0.1945 0.5000 P

3.
PBE BePd2SO, optimized geometry; E_form (uncorrected) = 0.3188 eV/atom; space-group type = P4/mmm, No. 123; calculated total energy = -21.60 eV/cell
1.0
-4.4260 -0.4289 1.1762
0.9369 -1.2141 3.0828
0.0307 4.2828 1.6773
S Be O Pd
1 1 1 2
direct
0.0000 0.0000 0.0000 S
0.5000 0.5000 0.5000 Be
0.0000 0.5000 0.0000 O
0.5000 0.0000 0.0000 Pd
0.0000 0.0000 0.5000 Pd

4.
PBE Sr2Li3Al12Pd, optimized geometry; energy of formation from the pure elements = -1.1 kcal/mol of atoms; space-group type = R-3m, No. 166; calculated total energy = -60.09 eV/cell
1.0
-8.7551 5.4169 -2.5805
-10.3518 1.0355 2.1027
-7.3424 6.6842 3.7502
Al Sr Li Pd
12 2 3 1
direct
0.6402 0.0780 0.0780 Al
0.9220 0.3598 0.9220 Al
0.5867 0.1855 0.5867 Al
0.0780 0.0780 0.6402 Al
0.9220 0.9220 0.3598 Al
0.3598 0.9220 0.9220 Al
0.0780 0.6402 0.0780 Al
0.1855 0.5867 0.5867 Al
0.5867 0.5867 0.1855 Al
0.4133 0.4133 0.8145 Al
0.4133 0.8145 0.4133 Al
0.8145 0.4133 0.4133 Al
0.3554 0.3554 0.3554 Sr
0.6446 0.6446 0.6446 Sr
0.0000 0.5000 0.0000 Li
0.5000 0.0000 0.0000 Li
0.0000 0.0000 0.5000 Li
0.0000 0.0000 0.0000 Pd

5.
PBE CaDySe2, optimized geometry; E_form (uncorrected) = -1.8727 eV/atom; energy relative to the lowest polymorph listed for this composition = 0.0000 eV per atom; space-group type = R-3m, No. 166; calculated total energy = -21.06 eV/cell
1.0
-2.8001 1.4086 -2.6474
-3.3247 -2.2459 -0.8577
-5.3994 2.7250 3.9815
Ca Se Dy
1 2 1
direct
0.5000 0.5000 0.5000 Ca
0.7485 0.7485 0.7544 Se
0.2515 0.2515 0.2456 Se
0.0000 0.0000 0.0000 Dy

6.
PBE HfGe2Pt, optimized geometry; energy of formation from the pure elements = -5.1 kcal/mol of atoms; space-group type = Fm-3m, No. 225; calculated total energy = -26.12 eV/cell
1.0
0.8470 0.6084 4.4992
-2.9639 2.4013 2.6037
-2.5877 -2.1692 3.1510
Ge Hf Pt
2 1 1
direct
0.7500 0.7500 0.7500 Ge
0.2500 0.2500 0.2500 Ge
0.0000 0.0000 0.0000 Hf
0.5000 0.5000 0.5000 Pt

7.
PBE ScMn2SnIr, optimized geometry; energy of formation from the pure elements = 33.9 kcal/mol of atoms; space-group type = P4/mmm, No. 123; calculated total energy = -30.19 eV/cell
1.0
4.3606 0.0000 0.0000
0.0000 5.1996 0.0000
0.0000 0.0000 4.3606
Mn Sc Ir Sn
2 1 1 1
direct
0.5000 0.0000 0.0000 Mn
0.0000 0.0000 0.5000 Mn
0.0000 0.0000 0.0000 Sc
0.5000 0.5000 0.5000 Ir
0.0000 0.5000 0.0000 Sn

8.
PBE ZnOs2Rh, optimized geometry; energy of formation from the pure elements = 4.7 kcal/mol of atoms; space-group type = I-4m2, No. 119; calculated total energy = -30.26 eV/cell
1.0
-1.8717 2.9665 3.0905
-4.1701 1.3756 -1.6038
1.8335 -4.2653 0.5477
Os Rh Zn
2 1 1
direct
0.0000 0.0000 0.0000 Os
0.2500 0.7500 0.5000 Os
0.5000 0.5000 0.0000 Rh
0.7500 0.2500 0.5000 Zn

9.